so guys...who is the worst

Dec 8, 2005
I'm curious 2 know who you people think is the worst singer in prog metal, who is the worst twat? the choice is in your hands...

btw i vote for that Douche from Riverside
the douche from Dream Theater... the guy from riverside is kinda annoying
Weirdly enough LaBrie was being eyed for a position as lead vocalist by both Maiden and Judas Priest for a while...

Frankly, Geddy Lee still annoys the shit out of me.
I really enjoy a lot of Edguy's music but the vocals get too ridiculous at times.

And I wish the singer from Blind Guardian didn't sound like he had a helium tank up his ass, if his vocals were slightly lower I would really enjoy that band.
i chose this particular genre because 99% of the singers are embarassing, and they annoy the hell out of me, i don't know if you guys feel the same...i mean, Threshold, Dream Theater, Symphony X, Queensryche, Riverside, Pain of Salvation...probably the worst singers in the world are members of these bands iyam. I must confess that Gildenlow from Pain of Salvation is ok compared to the rest of the bunch though.
anyone, just not the guy from Riverside, who sounds just like a god, compared to 99% of all the prog-metal vocalists
i chose this particular genre because 99% of the singers are embarassing, and they annoy the hell out of me, i don't know if you guys feel the same...i mean, Threshold, Dream Theater, Symphony X, Queensryche, Riverside, Pain of Salvation...probably the worst singers in the world are members of these bands iyam. I must confess that Gildenlow from Pain of Salvation is ok compared to the rest of the bunch though.

# Someone pasted records of molecules at this point
-- begin --
# 1
{
  "formula": "C30H90O40P10",
  "method": "wB97M-V/def2-TZVPD",
  "species": ["C", "O", "P", "O", "O", "C", "O", "C", "H", "H", "H", "H", "H", "H", "H", "H", "H", "C", "O", "P", "O", "O", "C", "O", "C", "H", "H", "H", "H", "H", "H", "H", "H", "H", "C", "O", "P", "O", "O", "C", "O", "C", "H", "H", "H", "H", "H", "H", "H", "H", "H", "C", "O", "P", "O", "O", "C", "O", "C", "H", "H", "H", "H", "H", "H", "H", "H", "H", "C", "O", "P", "O", "O", "C", "O", "C", "H", "H", "H", "H", "H", "H", "H", "H", "H", "C", "O", "P", "O", "O", "C", "O", "C", "H", "H", "H", "H", "H", "H", "H", "H", "H", "C", "O", "P", "O", "O", "C", "O", "C", "H", "H", "H", "H", "H", "H", "H", "H", "H", "C", "O", "P", "O", "O", "C", "O", "C", "H", "H", "H", "H", "H", "H", "H", "H", "H", "C", "O", "P", "O", "O", "C", "O", "C", "H", "H", "H", "H", "H", "H", "H", "H", "H", "C", "O", "P", "O", "O", "C", "O", "C", "H", "H", "H", "H", "H", "H", "H", "H", "H"],
-- stop --
# The records of molecules stop here

Fucking... odd post. Gildenlow is among the worst of that bunch, and Symphony X's vocalist is pretty much the only good thing associated with that band. Most of the lyrics are pretty homosexual, but even I'll admit he's a decent singer.

Also I seriously never understood Geddy Lee's appeal

LaBrie's vocals approach the most annoying of any that I frequently listen to, but black metal shrieking is about 100x more aggravatingly homosexual
Fucking... odd post. Gildenlow is among the worst of that bunch, and Symphony X's vocalist is pretty much the only good thing associated with that band. Most of the lyrics are pretty homosexual, but even I'll admit he's a decent singer.

Also I seriously never understood Geddy Lee's appeal

LaBrie's vocals approach the most annoying of any that I frequently listen to, but black metal shrieking is about 100x more aggravatingly homosexual

Why odd? the guy from Symphony X sounds more one-dimensional, effeminate and super-affected than any power metal singer. At least Gildenlow has some variation in his voice, more personality, he is still a twat though, no question about it.
About Geddy Lee...the guy's got a powerful voice, truly emotional, he sounds NATURAL and disciplined...that is what is cool about his voice.
Geddy slays, listen to Time Stand Still or Marathon and tell me those vocal lines dont obliterate.

I never got the hate for Riversides singer, sure hes not the best but I thought he had a nice tone. *shrugs* I also dont mind a bit of Queensryche occasionally. I guess these types of bands dont use my favourite vocal style but it is quite tolerable for me and I can still enjoy the music.
Symphony X pretty much is power metal, to be honest, or possibly power-prog.

Geddy Lee just sounds too whiny for my tastes, but I'm sure he's done good stuff, and he's in an excellent band.
geoff tate is definitely not a bad vocalist. shame on you for mentioning his name in this thread.

as for the guy from riverside: his vocal range isnt that wide but his voice sounds good and not annoying to me at all.

The singer from Riverside just sounds like he is gagging on a soccer ball, honestly, he is just bad. Geoff Tate can be alright sometimes, like on Silent Lucidity, otherwise he gets on my nerves.